Nikolay Raihel
I believe that the Earth is flora's and fauna's basecamp to explore Fog of space
reference to Warcraft® and Alfred's Wegener's concept of Pangea

Computer fueled
Human history is a backlog of hypotheses we should look upon.
reference to Manifesto for Agile Software Development
Nikolay Raihel
My expertise:
1. Создание концепций продуктов и запуск MVP.
2. Генерирование и проверка продуктовых гипотез.
4. Разработка дизайна и UI/UX полного цикла.
5. Управление каналами привлечения и продаж.
6. Контроль P&L с позитивной юнит-экономикой.
7. Масштабирование продукта.
Story of the career
Jun 2021 - Sep 2021
Product manager, Project job

== Between two parts of the page: materials data ==
1.
PrNdSb4: theoretical powder diffractogram (copper Kα), based on a crystal structure in the Materials Project, relaxed with GGA-PBE.
Intensities are scaled so that the largest is 100.

Peak list (12 most intense, 10 to 90 degrees two-theta, by angle)
24.9°, I = 32
28.5°, I = 22
29.3°, I = 75
30.1°, I = 94
32.1°, I = 94
32.2°, I = 92
34.7°, I = 80
35.7°, I = 27
35.8°, I = 26
41.0°, I = 100
54.4°, I = 22
59.0°, I = 37

Unit cell a=4.431 b=4.431 c=18.274 alpha=90.21 beta=90.21 gamma=90.08
Atoms (fractional coordinates):
Pr 0.136 0.136 0.389
Pr 0.864 0.864 0.611
Nd 0.361 0.361 0.889
Nd 0.639 0.639 0.111
Sb 0.128 0.622 0.249
Sb 0.134 0.134 0.064
Sb 0.367 0.367 0.563
Sb 0.378 0.872 0.751
Sb 0.622 0.128 0.249
Sb 0.633 0.633 0.437
Sb 0.866 0.866 0.936
Sb 0.872 0.378 0.751

---

2.
Ti5CuSn3: theoretical powder diffractogram (copper Kα), based on a crystal structure in the Materials Project, relaxed with GGA-PBE.
Intensities are scaled so that the largest is 100.

Peak list (12 most intense, 10 to 90 degrees two-theta, by angle)
27.0°, I = 54
32.3°, I = 22
37.1°, I = 71
37.9°, I = 96
39.2°, I = 100
47.1°, I = 15
48.9°, I = 35
55.7°, I = 22
60.8°, I = 16
69.3°, I = 16
72.2°, I = 21
80.3°, I = 21

Unit cell a=8.225 b=8.225 c=5.538 alpha=90.00 beta=90.00 gamma=120.00
Atoms (fractional coordinates):
Ti 0.000 0.270 0.250
Ti 0.000 0.730 0.750
Ti 0.270 0.000 0.250
Ti 0.270 0.270 0.750
Ti 0.333 0.667 0.000
Ti 0.333 0.667 0.500
Ti 0.667 0.333 0.000
Ti 0.667 0.333 0.500
Ti 0.730 0.000 0.750
Ti 0.730 0.730 0.250
Cu 0.000 0.000 0.000
Cu 0.000 0.000 0.500
Sn 0.000 0.382 0.750
Sn 0.000 0.618 0.250
Sn 0.382 0.000 0.750
Sn 0.382 0.382 0.250
Sn 0.618 0.000 0.250
Sn 0.618 0.618 0.750

---

3.
Sn7S2Br10: theoretical powder diffractogram (copper Kα), based on a crystal structure in the Materials Project, relaxed with GGA-PBE.
Intensities are scaled so that the largest is 100.

Peak list (12 most intense, 10 to 90 degrees two-theta, by angle)
15.3°, I = 52
15.9°, I = 28
16.8°, I = 32
19.8°, I = 47
20.9°, I = 30
21.3°, I = 56
26.3°, I = 100
26.6°, I = 38
28.0°, I = 53
34.1°, I = 29
41.1°, I = 58
42.5°, I = 35

Unit cell a=6.706 b=11.248 c=11.421 alpha=61.49 beta=85.72 gamma=82.77
Atoms (fractional coordinates):
Sn 0.000 0.000 0.000
Sn 0.030 0.679 0.368
Sn 0.197 0.446 0.795
Sn 0.242 0.592 0.113
Sn 0.688 0.862 0.713
Sn 0.750 0.338 0.547
Sn 0.792 0.184 0.198
S 0.015 0.229 0.990
S 0.957 0.486 0.597
Br 0.026 0.876 0.438
Br 0.028 0.370 0.288
Br 0.448 0.600 0.366
Br 0.479 0.841 0.938
Br 0.490 0.256 0.773
Br 0.499 0.422 0.044
Br 0.501 0.693 0.673
Br 0.623 0.003 0.138
Br 0.980 0.667 0.887
Br 0.996 0.091 0.726

---

4.
Ca6Cu2Sn7: theoretical powder diffractogram (copper Kα), based on a crystal structure in the Materials Project, relaxed with GGA-PBE.
Intensities are scaled so that the largest is 100.

Peak list (12 most intense, 10 to 90 degrees two-theta, by angle)
14.7°, I = 39
20.4°, I = 35
21.5°, I = 37
21.7°, I = 39
29.5°, I = 45
30.0°, I = 100
31.3°, I = 50
35.9°, I = 70

* Defended the 'As is - To be' strategy for the 'Suburban Internet' product to the stakeholders.
* Monitored key metrics and conversions on a daily and weekly basis to quickly spot anomalies and localize problems.
* Distributed revenue from the user cohorts attracted by month.
* Formulated a new positioning for the 'Suburban Internet' product to convert into an intangible asset.
* Identified emergency cases in CJM for the Russian regions.
* Launched a partnership with a construction business to promote the 'Smart Home' product.,
* Made SEO traffic an operational resource by proposing a new website architecture.
* Launched 15+ additional advertising channels based on BigData.

Jun 2021 - Jul 2021
Product manager, Project job
* Formulated service positioning:
* Worked on web resources from UX/UI prototype to their launch
Jul 2020 - Jul 2021
Product manager

* Visual style revision.
* Conducted Customer Development with team leaders of bank loyalty programs.
* Implemented 5 hypotheses worth 4 million rubles.
* Attracted more than 30 clients from large enterprises.
* Provided PR in Retail Finance and Forbes.
* Revised the company's services and marketing kit based on qualitative and quantitative research of bank loyalty programs.
* Became a finalist for the Moscow Accelerator and participated in Sber500 for media coverage of the company and attracting potential clients.
Feb 2020 - Jun 2020
Performance marketing manager

* Identified and monitored paid channels for promotion. Increased the monthly coverage and the number of applications. 450 applications with 5 rubles CPL.
* Created and managed all digital campaigns: PPC, targeting and impressions on social platforms.
* Created CJM and formulated hypotheses from customer journey analysis.
* Provided performance metrics on a weekly and monthly basis.

Interior design project
Jan 2020 - Feb 2020
Apr 2019 - May 2020
Product manager

* Increased targeted traffic, leads, and purchases by 40% per month through ad optimization and work with CFO and CTO.
* Created a media plan for social media. Worked with content for posts. Increased the level of user engagement by 32% and the number of leads from SMM by 18%.
* Revised the company's product with a new benefit for a certain client. It increased product sales from the first day of new house presentation.
* Formulated a monthly promotional plan and sales plan.
* Formulated CJM and 1-3-6 month strategies.
* Introduced the Jobs To Be Done approach. The company received the first place in the "Customer Centricity and Openness" rating among companies that build Fachwerk in Russia.
* Automated communication between departments, which reduced time costs and increased daily customer flow.
* Taught the sales department about Customer Development and sorts of promotion for them to understand resources of the internet traffic. Built communication within the sales department.
Feb 2018 - Apr 2019
Chief Marketing Officer

* Created a startup of co-founders. Helped to attract 16.5 million of rubles in Pre-Seed and Seed rounds from the IIDF.
* Conducted Customer Development with more than 30 hypotheses based on Unit Economincs.
* Formulated technical requirements for programmers to start development of the aggregator. Led the product backlog as well as implemented the Agile methodology into the workflow.
* Built the marketing and sales department from scratch. Created internet advertising both myself and with the help of marketing team.
* Formulated the product's target audience and segmented it.
* Managed user experience and offline sales.
* Trained by FRII experts. This increased the number of weekly hypotheses.
Jun 2017 - Sep 2018
Marketing manager

* Created contextual advertising, targeting, SEO. Increased lead generation to 60 leads per day with the same budget.
* Managed SMM. Created unique content, increased targeted followers to 1000+ and increased user engagement on posts. Groups generated free leads.
* Produced logistics YouTube channel. Created targeted content for external and internal use. Channel generated free leads.
* Worked on HR marketing and SERM.
* Created collaborative promotions to increase leads and produce videos for YouTube.
* Optimized the CRM system. It reduced loss of incoming leads and increased NPS.
* Worked on a cold call script for the sales department. Sales conversion increased by 30%.
* Developed regulations for all service processes and made a training program for new employees. This solution reduced the delivery time to 1 day instead of 3-5 days.
* Recruited personally over 30 unique clients and re-established relationships with several major clients.
* Made the company a MaxConference resident speaker, which increased brand awareness and loyalty.
Nov 2016 - May 2017
Product manager

* Processed the incoming flow of regular customers.
* Analyzed user and partner needs. Formulated insights tp test UX-hypotheses.
* Optimized existing product features and launched new ones from scratch.
* Performed UX/UI design.
* Conducted qualitative and quantitative research.
Sep 2011 - Dec 2020
Graphic designer

* Compiled technical assignments for designers working on animations.
* Found and processed, in a short period of time, a large number of graphics for the news.
* Worked in an Adobe graphics package (Photoshop, Illustrator).
* Did lettering for news topics.
* Found and promptly translated video or text content from foreign news resources.
tg: @nraihel
+7 999 966 83 53

That's all Folks